-- Entries --
-- begin --
The following is a computed powder diffraction line list of Li2FeH4. It was derived from a GGA-PBE-relaxed structure, using Cu Ka.

abc: 3.181 3.181 9.667
angles: 90.00 90.00 90.00
Space group I4/mmm (No. 139)
Unique sites:
Li  0.000  0.000  0.144
Fe  0.000  0.000  0.500
H  0.000  0.000  0.335
H  0.000  0.500  0.000

Most intense lines, 5 to 70 degrees two-theta, low angle first:
- 18.35 deg, rel. 96
- 29.56 deg, rel. 100
- 37.20 deg, rel. 12
- 39.82 deg, rel. 63
- 40.09 deg, rel. 34
- 44.43 deg, rel. 29
- 55.63 deg, rel. 19
- 57.99 deg, rel. 12
- 61.37 deg, rel. 12
- 66.43 deg, rel. 16
-- stop --

-- What to do --
Now retype the notes further up with every line break kept.

-- Outcome --
The following is a computed powder diffraction line list of Li2FeH4. It was derived from a GGA-PBE-relaxed structure, using Cu Ka.

abc: 3.181 3.181 9.667
angles: 90.00 90.00 90.00
Space group I4/mmm (No. 139)
Unique sites:
Li  0.000  0.000  0.144
Fe  0.000  0.000  0.500
H  0.000  0.000  0.335
H  0.000  0.500  0.000

Most intense lines, 5 to 70 degrees two-theta, low angle first:
- 18.35 deg, rel. 96
- 29.56 deg, rel. 100
- 37.20 deg, rel. 12
- 39.82 deg, rel. 63
- 40.09 deg, rel. 34
- 44.43 deg, rel. 29
- 55.63 deg, rel. 19
- 57.99 deg, rel. 12
- 61.37 deg, rel. 12
- 66.43 deg, rel. 16